-- Job --
What is needed: return the lines below up to the one that holds "'x,y,z'", that line included.

-- Given --
/*
The following is a calculated powder diffractogram of BaCo2Sn2O7. It was derived from DFT lattice parameters and positions (PBE+U), using Cu Kα (λ = 1.5418 Å).
Neutral-atom scattering factors, no anomalous dispersion.

Atomic structure:
Unit cell a=9.1882 b=9.1882 c=4.2243 alpha=103.27 beta=103.27 gamma=26.54
Fractional coordinates of all 12 atoms:
Ba 0.0000 0.0000 0.0000
Co 0.2538 0.2469 0.7497
Co 0.7531 0.7462 0.2503
Sn 0.3821 0.3826 0.3826
Sn 0.6174 0.6179 0.6174
O 0.1228 0.1217 0.6196
O 0.2675 0.2596 0.2607
O 0.3773 0.3779 0.8780
O 0.5011 0.4989 0.5000
O 0.6221 0.6227 0.1220
O 0.7404 0.7325 0.7393
O 0.8783 0.8772 0.3804

Top 8 peaks for 10° ≤ 2θ ≤ 90°, sorted by position:
2theta, intensity
26.1, 1000
31.7, 572
33.4, 694
41.6, 344
42.8, 680
50.9, 330
55.4, 345
61.2, 409


Structure and computed X-ray powder pattern of NiGeWO6 (a cell relaxed with GGA+U; Cu Kα (λ = 1.5418 Å)).
Peak positions follow from Bragg's law for the DFT cell and can differ from measured ones.

Cell and atoms:
```
NiGeWO6
1.0
5.045 0.000 0.000
-2.522 4.369 0.000
0.000 0.000 9.002
Ni Ge W O
2 2 2 12
Direct
0.000 0.000 0.000
0.000 0.000 0.500
0.333 0.667 0.250
0.667 0.333 0.750
0.333 0.667 0.750
0.667 0.333 0.250
0.005 0.357 0.134
0.005 0.648 0.366
0.352 0.357 0.366
0.352 0.995 0.134
0.357 0.005 0.634
0.357 0.352 0.866
0.643 0.648 0.134
0.643 0.995 0.366
0.648 0.005 0.866
0.648 0.643 0.634
0.995 0.352 0.634
0.995 0.643 0.866
```

Main lines, most intense first (2θ = 15–90°):
28.47 deg, I = 100; 54.65 deg, I = 55; 35.59 deg, I = 54; 19.72 deg, I = 44; 41.02 deg, I = 41; 22.62 deg, I = 37; 46.19 deg, I = 26; 59.64 deg, I = 24; 63.93 deg, I = 20; 20.33 deg, I = 15


(1)
Computed powder diffraction line list
Compound: Th2Pa2Si4Ni
Radiation: λ = 1.5418 Å (Cu Kα)
Structure: DFT lattice parameters and positions (GGA-PBE)
Lines closer than 0.1° are merged.

The 10 most intense peaks (10 to 90 degrees two-theta), in order of rising 2θ:
- 2θ = 21.88°, I 24
- 2θ = 25.97°, I 100
- 2θ = 34.21°, I 72
- 2θ = 35.65°, I 35
- 2θ = 37.05°, I 65
- 2θ = 44.63°, I 37
- 2θ = 53.40°, I 23
- 2θ = 59.35°, I 22
- 2θ = 60.31°, I 21
- 2θ = 64.96°, I 24

```
data_Th2Pa2Si4Ni
_cell_length_a 6.8627
_cell_length_b 6.8627
_cell_length_c 8.1231
_cell_angle_alpha 90.00
_cell_angle_beta 90.00
_cell_angle_gamma 90.00
_space_group_name_H-M_alt 'I 4/m m m'
_space_group_IT_number 139
_space_group_name_Hall '-I 4 2'
loop_
_atom_site_label
_atom_site_type_symbol
_atom_site_fract_x
_atom_site_fract_y
_atom_site_fract_z
Th1 Th 0.0000 0.5000 0.2500
Pa1 Pa 0.0000 0.0000 0.1669
Si1 Si 0.2348 0.2348 0.5000
Ni1 Ni 0.0000 0.0000 0.5000
```

---

(2)
Computed powder diffraction line list
Compound: Na5B7C3
Radiation: λ = 1.5418 Å (Cu Kα)
Structure: DFT lattice parameters and positions (GGA-PBE)
Lines closer than 0.1° are merged.

The 10 most intense peaks (10 to 90 degrees two-theta), in order of rising 2θ:
- 2θ = 34.90°, I 8
- 2θ = 36.25°, I 12
- 2θ = 40.93°, I 36
- 2θ = 42.12°, I 100
- 2θ = 56.78°, I 7
- 2θ = 63.47°, I 12
- 2θ = 77.00°, I 11
- 2θ = 79.16°, I 12
- 2θ = 80.73°, I 7
- 2θ = 81.54°, I 6

```
data_Na5B7C3
_cell_length_a 8.5770
_cell_length_b 2.8284
_cell_length_c 25.7050
_cell_angle_alpha 90.00
_cell_angle_beta 90.00
_cell_angle_gamma 90.00
_space_group_name_H-M_alt 'A m m 2'
_space_group_IT_number 38
loop_
_space_group_symop_operation_xyz
'x,y,z'
'-x,-y,z'
'-x,y,z'
'x,-y,z'
'x,y+1/2,z+1/2'
'-x,-y+1/2,z+1/2'
'-x,y+1/2,z+1/2'
'x,-y+1/2,z+1/2'
loop_
_atom_site_label
_atom_site_type_symbol
_atom_site_fract_x
*/

-- Result --
The following is a calculated powder diffractogram of BaCo2Sn2O7. It was derived from DFT lattice parameters and positions (PBE+U), using Cu Kα (λ = 1.5418 Å).
Neutral-atom scattering factors, no anomalous dispersion.

Atomic structure:
Unit cell a=9.1882 b=9.1882 c=4.2243 alpha=103.27 beta=103.27 gamma=26.54
Fractional coordinates of all 12 atoms:
Ba 0.0000 0.0000 0.0000
Co 0.2538 0.2469 0.7497
Co 0.7531 0.7462 0.2503
Sn 0.3821 0.3826 0.3826
Sn 0.6174 0.6179 0.6174
O 0.1228 0.1217 0.6196
O 0.2675 0.2596 0.2607
O 0.3773 0.3779 0.8780
O 0.5011 0.4989 0.5000
O 0.6221 0.6227 0.1220
O 0.7404 0.7325 0.7393
O 0.8783 0.8772 0.3804

Top 8 peaks for 10° ≤ 2θ ≤ 90°, sorted by position:
2theta, intensity
26.1, 1000
31.7, 572
33.4, 694
41.6, 344
42.8, 680
50.9, 330
55.4, 345
61.2, 409


Structure and computed X-ray powder pattern of NiGeWO6 (a cell relaxed with GGA+U; Cu Kα (λ = 1.5418 Å)).
Peak positions follow from Bragg's law for the DFT cell and can differ from measured ones.

Cell and atoms:
```
NiGeWO6
1.0
5.045 0.000 0.000
-2.522 4.369 0.000
0.000 0.000 9.002
Ni Ge W O
2 2 2 12
Direct
0.000 0.000 0.000
0.000 0.000 0.500
0.333 0.667 0.250
0.667 0.333 0.750
0.333 0.667 0.750
0.667 0.333 0.250
0.005 0.357 0.134
0.005 0.648 0.366
0.352 0.357 0.366
0.352 0.995 0.134
0.357 0.005 0.634
0.357 0.352 0.866
0.643 0.648 0.134
0.643 0.995 0.366
0.648 0.005 0.866
0.648 0.643 0.634
0.995 0.352 0.634
0.995 0.643 0.866
```

Main lines, most intense first (2θ = 15–90°):
28.47 deg, I = 100; 54.65 deg, I = 55; 35.59 deg, I = 54; 19.72 deg, I = 44; 41.02 deg, I = 41; 22.62 deg, I = 37; 46.19 deg, I = 26; 59.64 deg, I = 24; 63.93 deg, I = 20; 20.33 deg, I = 15


(1)
Computed powder diffraction line list
Compound: Th2Pa2Si4Ni
Radiation: λ = 1.5418 Å (Cu Kα)
Structure: DFT lattice parameters and positions (GGA-PBE)
Lines closer than 0.1° are merged.

The 10 most intense peaks (10 to 90 degrees two-theta), in order of rising 2θ:
- 2θ = 21.88°, I 24
- 2θ = 25.97°, I 100
- 2θ = 34.21°, I 72
- 2θ = 35.65°, I 35
- 2θ = 37.05°, I 65
- 2θ = 44.63°, I 37
- 2θ = 53.40°, I 23
- 2θ = 59.35°, I 22
- 2θ = 60.31°, I 21
- 2θ = 64.96°, I 24

```
data_Th2Pa2Si4Ni
_cell_length_a 6.8627
_cell_length_b 6.8627
_cell_length_c 8.1231
_cell_angle_alpha 90.00
_cell_angle_beta 90.00
_cell_angle_gamma 90.00
_space_group_name_H-M_alt 'I 4/m m m'
_space_group_IT_number 139
_space_group_name_Hall '-I 4 2'
loop_
_atom_site_label
_atom_site_type_symbol
_atom_site_fract_x
_atom_site_fract_y
_atom_site_fract_z
Th1 Th 0.0000 0.5000 0.2500
Pa1 Pa 0.0000 0.0000 0.1669
Si1 Si 0.2348 0.2348 0.5000
Ni1 Ni 0.0000 0.0000 0.5000
```

---

(2)
Computed powder diffraction line list
Compound: Na5B7C3
Radiation: λ = 1.5418 Å (Cu Kα)
Structure: DFT lattice parameters and positions (GGA-PBE)
Lines closer than 0.1° are merged.

The 10 most intense peaks (10 to 90 degrees two-theta), in order of rising 2θ:
- 2θ = 34.90°, I 8
- 2θ = 36.25°, I 12
- 2θ = 40.93°, I 36
- 2θ = 42.12°, I 100
- 2θ = 56.78°, I 7
- 2θ = 63.47°, I 12
- 2θ = 77.00°, I 11
- 2θ = 79.16°, I 12
- 2θ = 80.73°, I 7
- 2θ = 81.54°, I 6

```
data_Na5B7C3
_cell_length_a 8.5770
_cell_length_b 2.8284
_cell_length_c 25.7050
_cell_angle_alpha 90.00
_cell_angle_beta 90.00
_cell_angle_gamma 90.00
_space_group_name_H-M_alt 'A m m 2'
_space_group_IT_number 38
loop_
_space_group_symop_operation_xyz
'x,y,z'